I  often consult with clients who are worried about the fact that their high school child does not know what they want to do or become after school. 

Often this becomes a great source of conflict within the family system. This is a real concern. 

Parents just want the best for your child. You want them to flourish after school. So I thought that I will share 4 career myths that I believe can change this.

Myth 1 – There is one perfect job for my child.

Fact: Your child can find a variety of fulfilling careers. Currently, your child’s career is expected to span about 60 years, and he/she will probably change careers about 5 times and change jobs about 17 times. This means a change in their career path every 3,5 years!

During their career span, their interests, life roles and economic circumstances are bound to change, which will impact their career paths and decisions. Technological innovation is also bound to disrupt various industries, which will impact career trajectories significantly. 

Myth 2 – My child’s degree is going to be their career.

Fact: American statistics show that about 27% of graduate students have jobs related to their degree, and in the UK it is reported that half of all graduates are working in a field that relates to their degree after leaving university. Importantly, 96% of these UK students changed to a different career after the age of 24. 

This implies that the probability that your child will work in the same career field as tertiary level qualification is not very high. It does not mean that their time will be wasted. Their qualification can teach them a skill set that will allow them to design their career. You can read more about the predicted needed skill sets for the future at this link.

[Quantum chemistry results, as found in the file]
+++
Record 1
DFT (ωB97M-V/def2-TZVPD) results for a structure of composition C22H47AlAsBBrCl3F6KN2O8S at a distorted geometry.

Results
Highest occupied orbital energy (eV): -9.27
E_tot (a.u.): -9632.4815
ΔE to the lowest compared entry with this formula, charge and spin (kJ/mol): 0.0
Net charge: +1

Atoms and positions in Å:
1 H 2.510 -2.676 0.982
2 H -1.756 -5.311 -2.119
3 As -3.950 -2.043 0.064
4 F -5.534 -1.563 -0.468
5 H 5.031 1.675 1.909
6 H -0.387 -1.554 1.383
7 H -11.544 -1.165 -0.831
8 Cl -1.343 -7.544 -1.507
9 H 1.304 0.376 -3.805
10 C -1.443 9.171 -0.701
11 H 0.037 7.473 0.922
12 C -0.246 -0.218 -2.419
13 C -0.232 0.502 1.210
14 F -3.363 -1.872 -1.533
15 H 0.864 -3.165 -4.740
16 C 7.906 1.899 4.783
17 H -0.390 -0.959 -1.625
18 H 6.672 -0.323 1.470
19 C 1.095 -3.252 2.484
20 C 0.588 1.603 1.251
21 O 4.600 1.185 2.621
22 H -0.079 -1.775 -6.542
23 N 1.596 -0.901 1.745
24 H 7.803 0.810 4.804
25 H 4.131 -2.573 0.349
26 H 1.894 -0.176 -2.264
27 C -10.758 -1.015 -1.568
28 H 2.574 2.263 1.545
29 C 0.292 -0.726 1.453
30 H -7.144 -1.374 -1.987
31 C 0.523 -2.155 -4.511
32 C 2.420 0.172 1.776
33 H 0.436 -3.542 1.665
34 Cl -1.337 -5.153 0.188
35 H -10.926 -1.669 -2.423
36 H -8.511 -1.785 -3.059
37 H -8.247 -0.090 -2.539
38 C 0.138 7.285 -0.145
39 H 1.390 -5.380 2.869
40 O 7.550 2.417 3.505
41 C 0.098 2.984 0.988
42 H 2.892 -4.474 2.505
43 Cl 3.604 -0.136 -1.934
44 O -9.193 -2.900 -0.551
45 H -1.575 9.389 0.358
46 H 6.231 -0.695 3.171
47 H 2.112 -4.250 4.020
48 H 1.108 6.832 -0.329
49 H 6.594 -1.989 2.079
50 H 8.944 2.158 4.970
51 C 1.919 1.417 1.522
52 O 0.166 3.905 1.943
53 C -8.174 -1.137 -2.249
54 H -0.376 0.781 -1.997
55 H -0.008 8.301 -2.065
56 S -9.188 -1.411 -0.808
57 O 0.410 -2.703 3.588
58 H -1.611 10.083 -1.268
59 O 0.891 9.431 -0.591
60 H 3.795 -0.831 -0.233
61 H -3.075 -5.993 -1.143
62 C -0.024 8.611 -1.005
63 C 4.514 -1.537 0.353
64 B 4.005 0.071 2.051
65 C 1.135 -0.365 -3.020
66 C -2.002 -5.924 -1.261
67 H -10.746 0.028 -1.881
68 F -4.546 -2.222 1.675
69 O 1.388 -1.681 -3.494
70 H 0.356 3.477 2.787
71 H -0.502 -2.249 -4.131
72 Al 1.514 -2.159 -0.558
73 C 1.917 -4.445 2.974
74 N 4.730 -1.094 1.756
75 C 6.156 -1.002 2.138
76 Br 0.637 4.195 -2.108
77 H -1.276 0.612 0.985
78 H 2.944 -2.258 2.664
79 F -3.550 -0.384 0.397
80 C 0.552 -1.319 -5.778
81 H -0.528 -2.858 3.458
82 H 5.468 -1.593 -0.139
83 O -0.297 3.257 -0.102
84 H 1.569 -1.243 -6.162
85 H 7.283 2.338 5.567
86 H -1.032 -0.372 -3.154
87 F -4.339 -3.698 -0.261
88 H -2.199 8.439 -0.995
89 H 6.634 2.187 3.343
90 H 0.187 -0.306 -5.606
91 F -2.354 -2.521 0.604
92 C 2.131 -2.235 1.962
93 K -8.819 -3.957 1.224
94 H -0.638 6.572 -0.448

Record 2
DFT (ωB97M-V/def2-TZVPD) results for a structure of composition C35H38ClN3O2Ta at a distorted geometry.

Results
Highest occupied orbital energy (eV): -10.22
E_tot (a.u.): -2188.1706
ΔE to the lowest compared entry with this formula, charge and spin (kJ/mol): 494.4
Net charge: +1

Atoms and positions in Å:
1 C 0.177 -3.873 0.203
2 H 3.807 -3.040 0.976
+++

Myth 3 – By now my child should know what they want to study.

Fact: This may be true for some, but most university students change their majors and career focuses many times during college. Most students switch degrees 3 to 5 times during university.

Just think about it. If their career lifespan is going to be 60 years. Is it really that fair to expect children to know what they want to do for the next 60 years of their life at the age of 18? 

Myth 4 – My child needs to find their passion to be happy in their career

Fact:  It is not necessarily true that you have to find your passion to be happy. Often this perception causes inaction, which is more detrimental to a person’s career growth.  It is important that a person likes what they do. If you are very lucky you can make your passion into a career. If you don’t find your passion, it does not mean that you can’t like what you do.  What is important is to find a career that parallels your self-construction, this includes.

How does knowing this help you?

By addressing these myths it can help change perceptions about career and open’s the communication with your child. This allows you to talk about opportunities that excite them, and empathetically listen to they are constructing their identity. It can allow your child to focus on developing the skills they need to flourish after school. This is exactly what the life design career counselling aims to do.

_Between two parts of the text: calculated molecules_
'''
A structure of composition C26H29F4N6O8PS4Ti in a non-equilibrium geometry. Source: the Open Molecules 2025 dataset; level of theory: the ωB97M-V functional and the def2-TZVPD basis.

Positions of all 79 atoms, in Å:
Ti1 0.62755 -0.53650 -0.07268
O1 2.52303 -0.71149 -3.57538
C1 2.35095 -0.93400 -2.31482
O2 1.74060 -0.14853 -1.58927
C2 2.91281 -2.19559 -1.69902
O3 2.03838 -2.65262 -0.67732
C3 1.03132 -3.59556 -1.08988
C4 -0.34371 -2.94822 -0.99177
O4 -1.32899 -3.55494 -0.67194
O5 -0.29650 -1.65005 -1.26937
H1 1.96735 0.06569 -3.82913
H2 3.85292 -1.91519 -1.21629
H3 3.10502 -2.95903 -2.45204
H4 1.07209 -4.45676 -0.42719
H5 1.20176 -3.91668 -2.12009
C5 1.93972 4.94581 -3.53503
C6 0.84853 3.94930 -3.21825
O6 1.35558 2.84186 -2.44287
P1 1.58062 2.87291 -0.85781
S1 -0.03974 1.79263 -0.10113
S2 3.37764 2.42505 -0.34566
O7 1.11485 4.35145 -0.46962
C7 1.80340 5.15562 0.51355
C8 1.01939 6.43358 0.68025
H6 1.52381 5.76909 -4.11743
H7 2.73379 4.47453 -4.11281
H8 2.37259 5.35249 -2.62172
H9 0.46077 3.48845 -4.12687
H10 0.02286 4.42497 -2.68558
H11 2.81785 5.34296 0.16203
H12 1.86819 4.59805 1.44831
H13 0.93085 6.96143 -0.26930
H14 1.53413 7.08216 1.38928
H15 0.01955 6.22956 1.06183
S3 -0.51534 -0.05322 -4.19619
C9 -1.84482 0.87614 -3.74314
N1 -3.08436 0.54538 -4.14359
C10 -4.28950 1.26468 -3.75532
C11 -3.93782 2.72444 -3.52832
C12 -2.81237 2.79264 -2.51163
N2 -1.70520 1.97507 -2.98486
H16 -3.14200 -0.26420 -4.73826
H17 -4.70977 0.83682 -2.83864
H18 -5.03128 1.15004 -4.54406
H19 -4.80560 3.28220 -3.17967
H20 -3.60063 3.16460 -4.46893
H21 -3.16032 2.44174 -1.53372
H22 -2.45427 3.81450 -2.38737
H23 -0.81713 2.04429 -2.50608
F1 0.76040 -3.04771 1.77395
C13 1.05035 -3.42402 3.05767
C14 0.18586 -4.30916 3.63717
F2 -0.89098 -4.66430 2.90858
C15 0.39892 -4.86095 4.92112
C16 1.62632 -4.43765 5.49087
C17 2.46793 -3.52260 4.90473
F3 3.56864 -3.16147 5.57832
C18 2.19889 -2.92319 3.67012
C19 2.96975 -1.81391 3.10492
C20 2.44806 -1.05679 2.13693
N3 1.90797 -0.39572 1.30034
C21 4.23342 -1.36436 3.60360
N4 5.24589 -0.95024 3.95597
F4 1.98761 -4.91234 6.69011
C22 -0.51335 -5.73819 5.54888
C23 -0.25414 -6.38425 6.78799
N5 -0.09957 -6.94601 7.78307
C24 -1.79672 -6.01074 5.00338
N6 -2.85427 -6.24019 4.60183
C25 -2.96819 -0.55011 2.56671
S4 -2.20341 -1.48802 1.25396
C26 -3.15224 -0.80964 -0.10127
O8 -0.83787 -0.74943 1.14168
H24 -2.70939 0.49708 2.42064
H25 -2.57204 -0.91402 3.51221
H26 -4.04371 -0.71221 2.52624
H27 -4.13196 -1.28557 -0.08082
H28 -2.63112 -1.07157 -1.01998
H29 -3.21967 0.26972 0.02591

- F_max (hartree/bohr) = 0.0368
- LUMO energy (spin up / spin down) (eV) = -1.931 / -1.931
- HOMO-LUMO gap (spin up / spin down) (eV) = 4.18 / 4.18
- net charge = 0
- HOMO energy (spin up / spin down) (eV) = -6.1 / -6.1

=====

Entry a
This record from the Open Molecules 2025 dataset describes a structure of composition H35O18. The level of theory is the ωB97M-V functional and the def2-TZVPD basis.

Properties
HOMO = -6.7 eV
orbital gap = 0.32373 Ha

Structure (ORCA input):
```
'''
_The text goes on_

During the process it allows a person to really reflect and discover how they are busy crafting their identity and then discover which career journey will compliment this. Read more about this process in my career counselling article.